Bula TCO's .... I'm now posting the minutes our first meeting for the year 2008 that was held at Maika's Residence in Kartaram, Votualevu on the 25th Jan'08.
The minutes were the basis of discussions during our second meeting which was differed from the 08th Feb'08 as we were unable to form a quorum in that meeting.
Our secretary will be sending out the minutes of the 15th Feb'08 meeting by early next week.
Wishing you all a Great Weekend!
Moce Jo!
Minutes of the TCO's Meeting held on Friday, 25th Jan 2008 at Maika Moce’s Residence - Kataram @ 7.45pm
Nat Volavola - Present President
Maciu Bolaitamana - Present Secretary
Joe Dalituicama - Present Treasurer
Emosi Jale
Maika Moce
Joe Tuamoto
Osea Batiweti
Jale Vitoki
Vini Bennett
Meeting commence @ 7.45pm
A special welcome by Mr. President to the members present at the first meeting 2008.
Especially to our new member joining this year Ms. Koba-san. Welcome to the TCO’s.
Meeting lead with a prayer by our present Treasurer, Mr. Joe Dalituicama
Received and conveyed apologies as per listed above.
4.Nomination of 2008 Club Committee
Maika moved to have the nomination in our next meeting when hopefully we should have all members present by then.
Motion seconded by JD.
5.Tressure’s Update
Mr. Treasurer will be able to provide a report by our next meeting.
Club Sub collected as of Friday, 08th Jan, 2008
Koba-san $50.00
Maika $20.00
Nat V $20.00
Eiji-san $50.00
Emosi Jale $5.00
JT $10.00
UT $10.00
Total $165.00
Treasurer – to have a receipt book and issue receipt on every sub paid.
Few points to be clarified in our next meeting;
a) If you loan your sub, the interest goes to your account
b) If you loan more than your sub, than the 20% interest goes to the club pool
6. General Business
Below issues raised for discussion during our next meeting.
a)Possibility if we can make an effort to visit Moape this year - MB
b)Suggested by Mr. President, if we can have one of our family day this year to visit either Old Peoples Home or School of Handicap instead of a family picnic. Seconded by JD.
c)Mr. Prez also raised few old rules to be instilled within members. The following were raised to be discussed in our next meeting.
- No Show without apology – fine $5.00
- Late Arrival without prior notification – fine $5.00
In line with penalties raised above, Emosi stated a good point.
Funds collected from penalties, to be accounted for separately which can go towards our club member visitation or any other donation that may be required.
d)An important point raised by JD, is to map out a ‘Club Activity Calendar of Events’ for the year.
e)In the Calendar of Events to include Family Retreat, Seafood or Lovo fundraising.
f)Year Planner to be drafted and presented during our next meeting.
g)Next meeting to confirm members of club, current and new members
Attached: quantum chemistry results:
(1)
Below is one molecule with the formula C17H29N5O7, with properties calculated with ωB97M-V with the def2-TZVPD basis set.

Results
Spin multiplicity: 1
Structure (SMILES): COCCOCC(=O)NC[C@@]1(OC)CCN(C(=O)CCCn2c(O)nnc2O)C1
Kohn-Sham gap (eV): 9.21
Net charge: 0
LUMO level (eV): 0.582
ΔE to the lowest compared entry with this formula, charge and spin (eV): 0.4829

The geometry in XYZ format:
```
58
Properties=species:S:1:pos:R:3:forces:R:3
C -1.76329 3.00400 -3.54410 0.001 0.033 0.040
O -1.00175 1.82461 -3.40757 0.013 -0.205 0.037
C -1.55097 0.75031 -4.14693 0.036 0.120 -0.094
C -0.71271 -0.47786 -3.94036 -0.081 -0.013 -0.134
O -0.84787 -0.90775 -2.60439 -0.041 0.270 0.103
C 0.07347 -1.92250 -2.28357 0.334 -0.155 0.140
C 0.07390 -2.19083 -0.79395 -0.140 -0.279 -0.117
O 0.91823 -2.90868 -0.29059 0.040 0.035 0.066
N -0.95057 -1.64327 -0.10292 -0.004 0.193 0.009
C -1.15009 -1.92971 1.29564 -0.083 -0.023 0.049
C -1.99526 -0.85048 1.96635 -0.065 -0.054 -0.026
O -3.18301 -0.58122 1.23609 -0.022 -0.092 -0.029
C -4.06758 -1.67774 1.08976 0.028 0.049 0.024
C -2.23017 -1.19212 3.45030 0.010 -0.033 -0.049
C -1.07722 -0.50914 4.21089 0.089 0.120 0.016
N -0.38342 0.29020 3.19660 -0.010 -0.219 0.246
C 0.97391 0.37600 3.18925 0.017 0.247 0.075
O 1.64892 0.05011 4.15071 0.027 -0.056 -0.108
C 1.55657 0.93990 1.91143 0.121 -0.024 0.045
C 3.01863 1.32719 2.01600 -0.012 0.046 -0.098
C 3.46412 2.02991 0.73362 0.025 -0.208 -0.007
N 3.38271 1.14656 -0.43434 -0.127 0.110 -0.053
C 2.33858 0.90494 -1.29194 -0.172 0.101 0.194
O 1.16113 1.53385 -1.12605 0.201 -0.248 -0.152
N 2.63340 0.02577 -2.19038 0.112 0.139 0.075
N 3.95478 -0.36812 -1.94285 0.091 0.015 0.072
C 4.34535 0.30252 -0.91234 -0.151 0.015 -0.087
O 5.53885 0.25853 -0.30469 -0.005 -0.025 -0.026
C -1.23207 0.46460 2.04499 -0.067 0.100 -0.190
H -1.27906 3.77866 -2.95400 0.009 -0.011 0.000
H -1.80999 3.32680 -4.59015 0.015 -0.013 -0.001
H -2.78524 2.85883 -3.17675 0.001 -0.004 0.005
H -2.58664 0.55791 -3.83763 0.018 0.028 0.038
H -1.55251 0.99357 -5.21793 -0.043 0.025 0.012
H -1.05650 -1.26471 -4.62348 0.031 -0.003 -0.043
H 0.33684 -0.25817 -4.16035 0.050 0.012 -0.002
H -0.17204 -2.86245 -2.79180 -0.059 -0.025 0.000
H 1.08892 -1.62951 -2.56231 -0.026 -0.044 0.009
H -1.62030 -1.07383 -0.59880 0.003 -0.039 0.028
H -1.62775 -2.90500 1.42655 -0.003 -0.058 0.014
H -0.17697 -1.99912 1.78533 0.005 0.007 0.036
H -4.97530 -1.28434 0.63828 -0.008 -0.010 0.001
H -3.65632 -2.45183 0.43585 0.016 -0.017 -0.009
H -4.31811 -2.12530 2.05583 -0.004 -0.004 0.003
H -3.19799 -0.78597 3.74744 0.020 0.019 0.006
H -2.24489 -2.26785 3.62844 -0.023 0.013 0.008
H -1.44658 0.12918 5.01601 -0.012 -0.024 -0.005
H -0.36424 -1.20398 4.64922 -0.003 -0.043 -0.012
H 1.41895 0.19053 1.12541 0.011 -0.021 0.005
H 0.96810 1.80558 1.60055 0.059 0.026 0.017
H 3.16059 1.99357 2.86793 0.046 0.063 -0.029
H 3.63959 0.45039 2.20145 0.005 -0.009 -0.018
H 2.83929 2.90099 0.53121 -0.018 -0.043 -0.033
H 4.49648 2.37050 0.80613 -0.014 -0.049 -0.009
h)Need household removal gang to assist Maika move to his dream house as stated by Master. Emosi Jale.
i)Visitation to new Talatala at Namaka
j)A word of encouragement by our present Chairman and concluded by a prayer from our present Treasurer.
7.Next meeting: Venue – 29th Feb’08 Venue: Eiji-san's Residence.
Time @ 0700rs
Vinaka & wishing you guys and your families a Great Weekend!
Our club, The Chosen One's Social Club membership comprises of a group of friends and we are professionals in our own rights. Most of us are involved in the Tourism Industry and work closely with each other. The membership includes Husbands & Wives and we try to, as much as possible to involve our children and family members in our Club Activities.